Find All References (Shift+F12) with css - css

I'm using SCSS and web technologies and was hoping to find out where a CSS class or id was being used; for all the uses. I am using Visual Studio 2013 and I know you can see where the properties and methods are being used, but was wondering if I could use the same tactic for CSS and even javascript. Would I need another IDE?
Thanks in advance

you can always use firbug. It allows you to inspect and modify html styles and a whole lot more
here is the link.


using css frame work over own custom css

I'm trying to reach the best css practice on my website using my own custom css till I found out I can use css framework such as bootstrap or foundation zurb instead. I thought using such framework directly without the need of making my own custom css is possible, but it turns out that all css frameworks are limited to some point yet I need to add extra custom css so my site look the way I want.
I want to use css framework because of the fact that it is being served over CDN so no extra bandwidth, and also for load speed and performance.
now my question, is it possible to be using only css framework on a website without the need of adding a custom css?
also how about creating my own custom css and using #import to a css framework inside the custom file, is that a good practice?
can anyone enlighten me to an efficient method serving a css file with/without css framework to my website?
You can use a plain framework without writing any custom CSS if you either a) Are happy with how it looks without custom CSS or b) like one of the many themes you can get for such frameworks.
You can #import a framework into your own custom CSS - in fact, many frameworks are available as less and importing them allows you to use variables from the framework in your own CSS as well.
As far as efficiency goes, are you sure this is the performance problem you have? If you haven't measured the performance, you aren't ready to optimise! It will, of course, be a straight economic trade-off between looking exactly as you want, and keeping the page load fast.
using a css framework is always a good option. You can use either bootstrap/foundation. along with the various functionalities on the site it would provide u the animation effects as well. And would help to complete the site faster as they provide the snippets of code. You can use less/sass and have the styling customized in the variables so you wont have to include extra custom css file.

Is there any way to use JQuery Mobile CSS without the javascript?

-- begin --
No. 1
-- stop --

After many fruitless days of trying to get JQuery Mobile and AngularJS routing to work together, I'm considering my alternative options..
Is there a way to use the JQM CSS without relying on JQuery's javascript?
Or is there a substitute CSS package that are recommended? something with all header/footers and lists that is available in JQM?
Of course, there is an CSS file in the package you downloaded. But all the sites functionality and the mobile adaption will be broken. You can rename the classes and the id's or directly use the classes from the css file.
There are quite a few jQueryMobile functionalities that rely solely on the CSS fole, eg. the grids. You won't get the interactions, but all the buttons looks, shapes and colors are totally useful without the JS.
Still - depends on your expectations.
And when using it like that you need to understand a bit how JQM works to know the classes and html structure that's expected, because some of these are generated by javascript.
[kind of digression]
But maybe you just dislike how big jquerymobile is?
Then you probably want to use: to get only stuff you need, and also use tte themeroller here: to create only one theme (global) and remove other themes (A,B,C)
That's how you get it a lot smaller.
You can reuse the CSS file inside he downloaded JQM package. The file can be included, but make sure to include the images folder as well and have it at the same location at the destination.
If you aren't sure of which classes to include for which purpose, you can simply find it out by inspecting a JQM demo page to find out (View source will not work due to the JQM javascript).
JQS provides support for ui animations and user experience enhancement. Removing libraries will dispart you from accessing css contents created and used by javascript in order to 'manage' a front-end design. –
Yes you can use jquery mobile theme and adapt it to your needs.
Just reading there was adapter releases for your situation :!topic/angular/oIxRxpkn3L0
Perhaps substitutes to css packages are documented. About heavier JQM templating and using, there are some introduction to what you'll need to take a look at like adobe theme-control-jquery-mobile.html ..

general style & CSS support in Silverlight

I have several Silverlight component which are going to be used inside the browser, is it possible to pass the styling from the page to the Silverlight components?
I'm aware of 'initParams' in Silverlight and how these could be used to do this, but what I wanted to know is there any support for CSS and what is the preferred way to do styling in Silverlight, I guess it will be based around resource files.
There is no css support in Silverlight. In Xaml we have the Style element, which allows you to create styles and then apply them to controls. Here is a tutorial that explains the basics pretty well:

clean up css automaticly with dreamweaver or other tool

It's not really a coding question, but I don't know where to ask it elsewhere.
I'm looking for a tool to clean up unused css selectors.
I know this tool Dust-Me selectors, but I want it to clean it automaticly.
Can anyone help me with this?
Depending on the complexity of your site, I don't think it's a good idea to clean up CSS automatically. I've used those tools myself (DustMe-Selectors mostly) but as soon as it comes to dynamic pages (and sites), all of the tools lack the ability to really find out what is used and what not.
Consider a site using selectors like "item-selected", "item-soldout", "item-bargain", etc. If the site will apply selectors dynamically to e.g. items in a shop, tools may not find those selectors in your markup because they are not used at the moment but maybe used as soon as the shop-configuration changes.
So I'd suggest to go with one (or more) of the tools suggested here and carefully evaluate the suggestions for unused selectors, but rather not use something to clean my code automatically.
There's a windows based utility called CSS Cleaner available here. Obviously the issue is that it has to run through every pages in your project to determine which selectors aren't used. And it can't see into any CSS generated by your code.
Be careful with auto-clean up. If you are not 100% familiar with the site -- don't do it. There may be classes or IDs in your code that are there for JS and not CSS.

Creating and editing CSS in Flex3 Air

I need to create a CSS file via the Flex 3 Air application. I need to create and edit the CSS file and access individual styles by class name. Please give any examples or related links of which you aware.
I don't use Flex that much, but it seems you need to load the CSS file via URLLoader/HTTPService/etc and write a class to parse.
You can probably start from the one that comes with the framework, or have look online and adapt one for your needs. The first this that I found was this. Obviously there could be better alternatives.
